Performance deterorates with memory heavy apps.

........
Record 1
Calculated powder X-ray diffraction pattern of Er2MgS4 for λ = 1.5418 Å (Cu Kα), from a DFT-relaxed cell (PBE, the Materials Project).
No peak broadening, texture or thermal motion is included.

Top 10 peaks for 10 to 90 degrees two-theta, in order of rising 2θ:
13.79 deg, I = 1000
26.59 deg, I = 919
27.79 deg, I = 311
32.20 deg, I = 816
35.18 deg, I = 251
42.23 deg, I = 392
46.18 deg, I = 723
48.43 deg, I = 259
76.64 deg, I = 254
85.57 deg, I = 242

Crystal structure
Unit cell a=7.863 b=7.863 c=7.863 alpha=60.00 beta=60.00 gamma=60.00
Fractional coordinates of all 14 atoms:
Er: 0.000 0.000 0.000
Er: 0.000 0.000 0.500
Er: 0.000 0.500 0.000
Er: 0.500 0.000 0.000
Mg: 0.375 0.375 0.375
Mg: 0.625 0.625 0.625
S: 0.235 0.755 0.755
S: 0.245 0.245 0.245
S: 0.245 0.245 0.765
S: 0.245 0.765 0.245
S: 0.755 0.235 0.755
S: 0.755 0.755 0.235
S: 0.755 0.755 0.755
S: 0.765 0.245 0.245

Record 2
Calculated powder X-ray diffraction pattern of Er2MgS4 for λ = 1.5418 Å (Cu Kα), from a DFT-relaxed cell (PBE, the Materials Project).
No peak broadening, texture or thermal motion is included.

Top 10 peaks for 10 to 90 degrees two-theta, in order of rising 2θ:
15.16 deg, I = 618
18.95 deg, I = 990
24.15 deg, I = 538
26.35 deg, I = 544
26.73 deg, I = 505
27.43 deg, I = 825
38.44 deg, I = 1000
38.58 deg, I = 434
43.15 deg, I = 281
46.74 deg, I = 374

Crystal structure
Unit cell a=13.431 b=7.830 c=6.491 alpha=90.00 beta=90.00 gamma=90.00
Fractional coordinates of all 28 atoms:
Er: 0.000 0.000 0.000
Er: 0.000 0.500 0.000
Er: 0.232 0.250 0.499
Er: 0.268 0.750 0.999
Er: 0.500 0.000 0.500
Er: 0.500 0.500 0.500
Er: 0.732 0.250 0.001
Er: 0.768 0.750 0.501
Mg: 0.093 0.750 0.574
Mg: 0.407 0.250 0.074
Mg: 0.593 0.750 0.926
Mg: 0.907 0.250 0.426
S: 0.072 0.250 0.252
S: 0.092 0.750 0.206
S: 0.168 0.508 0.757
S: 0.168 0.992 0.757
S: 0.332 0.008 0.257
S: 0.332 0.492 0.257
S: 0.408 0.250 0.706
S: 0.428 0.750 0.752
S: 0.572 0.250 0.248
S: 0.592 0.750 0.294
S: 0.668 0.508 0.743
S: 0.668 0.992 0.743
S: 0.832 0.008 0.243
S: 0.832 0.492 0.243
S: 0.908 0.250 0.794
S: 0.928 0.750 0.748

Record 3
Calculated powder X-ray diffraction pattern of ErMgS3 for λ = 1.5418 Å (Cu Kα), from a DFT-relaxed cell (PBE, the Materials Project).
No peak broadening, texture or thermal motion is included.

Top 10 peaks for 10 to 90 degrees two-theta, in order of rising 2θ:
14.75 deg, I = 1000
16.95 deg, I = 590
21.02 deg, I = 372
25.87 deg, I = 517
27.04 deg, I = 408
27.85 deg, I = 551
29.51 deg, I = 438
33.48 deg, I = 471
45.25 deg, I = 385
46.22 deg, I = 352

Crystal structure
Unit cell a=6.962 b=6.962 c=6.650 alpha=103.07 beta=103.07 gamma=119.28
Fractional coordinates of all 10 atoms:
Er: 0.198 0.198 0.322
Er: 0.802 0.802 0.678
Mg: 0.338 0.662 0.000
Mg: 0.662 0.338 0.000
S: 0.114 0.777 0.200
S: 0.223 0.886 0.800
S: 0.468 0.468 0.743
S: 0.532 0.532 0.257
S: 0.777 0.114 0.200
S: 0.886 0.223 0.800

Record 4
........

We have been running into severe performance issues with a particular server that initializes 3 GB of memory and keeps it for the life of the server. The performance drop happens when running ab test just on ping.

  • First 10k requests (ping 6 ms) on same machine
  • Second 10k requests (ping 11 ms) on same machine
  • Third 10k requests (ping 20ms) on same machine

It then starts deteriorating. Sometimes hanging for 500ms for just pings.

Someone pasted calculated crystals at this point.
____________
Record 1
This entry pairs a crystal structure of Mo2O with its theoretical powder diffraction line list. Radiation: Cu Kα (weighted mean of Kα1 and Kα2). Structure: a structure optimized by DFT (GGA+U).
Intensities are scaled so that the largest is 100.

The 8 most intense peaks (2θ from 15° to 90°), by intensity:
- 32.05°, d 2.792, rel. 100
- 45.96°, d 1.975, rel. 99
- 76.24°, d 1.249, rel. 33
- 85.10°, d 1.140, rel. 32
- 57.13°, d 1.612, rel. 25
- 67.03°, d 1.396, rel. 15
- 27.67°, d 3.224, rel. 2
- 54.49°, d 1.684, rel. 1

Atomic structure:
Cell: 5.585 5.585 5.585 Å, 90.00 90.00 90.00°
Fractional coordinates of all 12 atoms:
Mo 0.250 0.250 0.250
Mo 0.250 0.250 0.750
Mo 0.250 0.750 0.250
Mo 0.250 0.750 0.750
Mo 0.750 0.250 0.250
Mo 0.750 0.250 0.750
Mo 0.750 0.750 0.250
Mo 0.750 0.750 0.750
O 0.000 0.000 0.000
O 0.000 0.500 0.500
O 0.500 0.000 0.500
O 0.500 0.500 0.000

=====

Record 2
This entry pairs a crystal structure of Mo4O11 with its theoretical powder diffraction line list. Radiation: Cu Kα (weighted mean of Kα1 and Kα2). Structure: a structure optimized by DFT (GGA+U).
Intensities are scaled so that the largest is 100.

The 8 most intense peaks (2θ from 15° to 90°), by intensity:
- 21.94°, d 4.052, rel. 100
- 24.10°, d 3.693, rel. 52
- 25.42°, d 3.504, rel. 24
- 32.67°, d 2.741, rel. 21
- 30.92°, d 2.892, rel. 16
- 48.01°, d 1.895, rel. 15
- 31.97°, d 2.800, rel. 15
- 51.51°, d 1.774, rel. 11

Atomic structure:
Cell: 6.896 5.599 25.208 Å, 90.00 93.89 90.00°
Fractional coordinates of all 60 atoms:
Mo 0.002 0.229 0.336
Mo 0.002 0.271 0.836
Mo 0.317 0.722 0.045
Mo 0.317 0.778 0.545
Mo 0.338 0.736 0.399
Mo 0.338 0.764 0.899
Mo 0.340 0.232 0.220
Mo 0.340 0.268 0.720
Mo 0.660 0.732 0.280
Mo 0.660 0.768 0.780
Mo 0.662 0.236 0.101
Mo 0.662 0.264 0.601
Mo 0.683 0.222 0.455
Mo 0.683 0.278 0.955
Mo 0.998 0.729 0.164
Mo 0.998 0.771 0.664
O 0.118 0.735 0.087
O 0.118 0.765 0.587
O 0.139 0.032 0.682
O 0.139 0.468 0.182
O 0.167 0.236 0.284
O 0.167 0.264 0.784
O 0.167 0.543 0.687
O 0.167 0.957 0.187
O 0.170 0.509 0.377
O 0.170 0.991 0.877
O 0.206 0.003 0.381
O 0.206 0.497 0.881
O 0.228 0.745 0.476
O 0.228 0.755 0.976
O 0.439 0.059 0.555
O 0.439 0.441 0.055
O 0.484 0.545 0.562
O 0.484 0.955 0.062
O 0.493 0.501 0.245
O 0.493 0.999 0.745
O 0.498 0.226 0.153
O 0.498 0.274 0.653
O 0.502 0.726 0.347
O 0.502 0.774 0.847
O 0.507 0.001 0.255
O 0.507 0.499 0.755
O 0.516 0.045 0.938
O 0.516 0.455 0.438
O 0.561 0.559 0.945
O 0.561 0.941 0.445
O 0.772 0.245 0.024
O 0.772 0.255 0.524
O 0.794 0.503 0.119
O 0.794 0.997 0.619
O 0.830 0.009 0.123
O 0.830 0.491 0.623
O 0.833 0.043 0.813
O 0.833 0.457 0.313
O 0.833 0.736 0.216
O 0.833 0.764 0.716
O 0.861 0.532 0.818
O 0.861 0.968 0.318
O 0.882 0.235 0.413
O 0.882 0.265 0.913

=====

Record 3
This entry pairs a crystal structure of Mo3O10 with its theoretical powder diffraction line list. Radiation: Cu Kα (weighted mean of Kα1 and Kα2). Structure: a structure optimized by DFT (GGA+U).
____________
Here the piece continues.

I wrote a skeleton server to try and invistigate the issue. The app does not but ping back on request. I reserver large memory (2GB) and the issue is visible. if I do not reserver any memory, it works just fine with consistent ping time of 1ms.

void startServer() {
	version(linux) {
		import etc.linux.memoryerror;
		static if (is(typeof(registerMemoryErrorHandler)))

	auto serverSettings = new HTTPServerSettings;
	serverSettings.hostName = "";
	serverSettings.bindAddresses = options.bindip;
	serverSettings.port = options.port;

	serverSettings.errorPageHandler = toDelegate(&errorPage);
	serverSettings.options = HTTPServerOption.defaults | HTTPServerOption.errorStackTraces;

	serverSettings.accessLogFormat = "%h - %u %t \"%r\" %s %b \"%{Referer}i\" \"%{User-Agent}i\" %D";
	serverSettings.accessLogFile = options.accessLog;

	serverSettings.disableDistHost = true;

	serverSettings.useCompressionIfPossible = false;

	auto router = (new URLRouter)
		.get("/ping", &pingHandler); // used only for monitoring

	listenHTTP(serverSettings, router);

 void pingHandler(HTTPServerRequest req, HTTPServerResponse res) {res.writeBody("pong");}

extern(C) __gshared string[] rt_options = [ "gcopt=profile:0 minPoolSize:512 initReserve:2048 heapSizeFactor:1 help" ];

version(VibeCustomMain) {
	int main(string[] args) {
		import vibe.core.args : finalizeCommandLineOptions;
		import vibe.core.core : runEventLoop, lowerPrivileges;
		import vibe.core.log;
		import std.encoding : sanitize;

		try {
			if (!finalizeCommandLineOptions())
				return 0;
		} catch (Exception e) {
			return 1;



		try {
			return runEventLoop();
		} catch (Throwable e) {
			//logError("Unhandled exception in event loop: %s", e.msg);
			//logDiagnostic("Full exception: %s", e.toString().sanitize());
			return 1;
} else {
	shared static this() {

if you comment this line

extern(C) __gshared string[] rt_options = [ "gcopt=profile:0 minPoolSize:512 initReserve:2048 heapSizeFactor:1 help" ];

Then it wont allocate memory and the difference in performance is quite huge.

From running a profiler on the app, it looks like with large memorry allocated, vibe array utils is called on a lot inside libevent.

Any help or insights would be appreciated.